May 2020 Hearing Report

# What comes next are calculated molecules, not part of the entry
~~~
{
  "formula": "C24H55ClN9O6",
  "method": "ωB97M-V/def2-TZVPD",
  "elements": ["C", "C", "Cl", "C", "C", "C", "N", "C", "N", "N", "H", "H", "H", "H", "H", "H", "H", "H", "H", "H", "H", "H", "H", "C", "C", "O", "N", "C", "H", "H", "H", "H", "H", "H", "H", "C", "C", "O", "N", "C", "H", "H", "H", "H", "H", "H", "H", "C", "C", "O", "N", "C", "H", "H", "H", "H", "H", "H", "H", "C", "C", "O", "N", "C", "H", "H", "H", "H", "H", "H", "H", "C", "C", "O", "N", "C", "H", "H", "H", "H", "H", "H", "H", "C", "C", "O", "N", "C", "H", "H", "H", "H", "H", "H", "H"],
~~~

Mandy Sackett
June 19, 2020
View Meeting Details

May 2020 Hearing Description

The Coastal Commission’s virtual May hearing took place on Wednesday, May 13 and Thursday, May 14. The meeting agenda was light and featured mostly non-controversial items. This was the Commission’s first virtual meeting and served as a trial run. Meetings will remain remote for the foreseeable future and will resume a normal or slightly higher workload with a number of items currently backlogged due to the cancellation of the April hearing and the light May agenda. As meetings continue in the virtual platform, we must ensure public participation remains a priority. See below for more discussion on public participation and other key items from the May agenda including a vote on SB 1090 and adoption of a new resolution, Making California’s Coast Resilient to Sea Level Rise: Principles for Aligned State Action.

Virtual Meetings

Despite the toll COVID-19 continues to take on the state’s residents, the desire for public participation in government has not waned. In fact, in some cases, people are more compelled than ever to make their voices heard. As we settle into new remote meeting formats using various technologies, meaningful public participation must not be lost. We strongly encourage the Coastal Commission and all state agencies to strive for maximum public participation in these new circumstances. For more information on how to participate in the June hearing, click here.

Oppose SB 1090

Here the page breaks off for records of molecules
┌──
Density functional theory data (ωB97M-V/def2-TZVPD) for a cluster of 2 separate species, C10H21NO in total.

CARTESIAN COORDINATES (ANGSTROEM)
C (2.2497, -2.2287, -0.2062)
C (2.2377, -0.8647, -0.8692)
O (2.7498, 0.1083, -0.3175)
N (1.6521, -0.7746, -2.1052)
C (0.8986, -1.8368, -2.7408)
C (1.5526, 0.5211, -2.7470)
H (2.7874, -2.1232, 0.7510)
H (2.7715, -2.9807, -0.8218)
H (1.2289, -2.5913, 0.0018)
H (-0.1856, -1.6466, -2.6695)
H (1.1769, -1.8908, -3.8068)
H (1.1167, -2.8104, -2.2705)
H (2.2136, 1.2370, -2.2301)
H (1.8680, 0.4493, -3.8016)
H (0.5204, 0.9083, -2.7141)
C (-1.9500, -0.0245, 0.4940)
C (-2.1143, 1.4879, 0.3298)
C (-0.9506, 2.2393, 0.9799)
C (-0.8098, 1.8604, 2.4557)
C (-0.6455, 0.3480, 2.6199)
C (-1.8092, -0.4033, 1.9698)
H (-1.0395, -0.3467, -0.0469)
H (-2.8129, -0.5529, 0.0451)
H (-3.0585, 1.8005, 0.8158)
H (-2.1854, 1.7497, -0.7434)
H (-1.0979, 3.3318, 0.8789)
H (-0.0142, 1.9757, 0.4515)
H (0.0531, 2.3889, 2.9046)
H (-1.7203, 2.1826, 2.9966)
H (0.2987, 0.0355, 2.1340)
H (-0.5744, 0.0863, 3.6932)
H (-1.6619, -1.4958, 2.0709)
H (-2.7456, -0.1397, 2.4982)

The relative energy (zero: lowest compared OMol25 entry of this formula, charge and spin) is 0.0000 eV. The structure (SMILES) is CC(=O)N(C)C.C1CCCCC1. The value obtained for the HOMO energy is -9.2555 eV. The total energy is -523.6365 a.u. Its charge is 0.
└──

On Wednesday, the Coastal Commission voted to oppose SB 1090 in accordance with the staff recommendation. SB 1090 would eliminate Coastal Act provisions that protect public access and recreation by allowing private property owners to build seawalls with almost no review. Because seawalls accelerate erosion, the resulting rush to construct more seawalls along the coastline would drastically accelerate the loss of our beaches at a time when we already risk losing up to 70% of Southern California beaches to sea level rise by 2100.

____________
[1]
The following is a DFT calculation (ωB97M-V/def2-TZVPD) of a structure of composition C21H21Br9O6.

Structure (XYZ):
```
57
Properties=species:S:1:pos:R:3:nbo_charge:R:1
C -0.0031 0.2874 -0.7988 -0.487
Br 0.8776 0.4590 0.9034 0.103
Br 1.2183 -0.4596 -2.0751 0.099
Br -0.6523 2.0411 -1.3285 0.068
H -0.8944 -0.3208 -0.7590 0.234
C 3.3933 1.7960 -4.0099 -0.497
Br 2.9555 2.9142 -5.5230 0.086
Br 2.9529 2.6970 -2.3676 0.085
Br 5.2367 1.2774 -4.0761 0.097
H 2.7830 0.9058 -4.0542 0.228
C -4.2236 1.9679 -2.7581 -0.514
Br -5.1961 1.1256 -1.3369 0.083
Br -5.0240 3.6304 -3.2613 0.094
Br -4.0119 0.8069 -4.2496 0.104
H -3.2511 2.1810 -2.3451 0.228
C -1.1497 3.0453 2.7855 -0.293
C -2.0705 2.1629 2.2240 -0.243
C -3.1846 1.7667 2.9473 0.252
C -3.4948 2.4539 4.1236 -0.248
C -2.6785 3.4769 4.5755 -0.248
C -1.4822 3.7587 3.9241 0.292
O -0.6629 4.6976 4.4823 -0.667
O -3.9978 0.7740 2.4432 -0.694
H -0.2131 3.1476 2.2470 0.217
H -1.8613 1.6095 1.3182 0.216
H -4.3645 2.1449 4.6922 0.217
H -2.9618 4.0088 5.4735 0.229
H 0.1661 4.7617 3.9986 0.480
H -4.9172 1.0507 2.4898 0.482
C 0.2565 -4.0301 -4.7946 -0.240
C 1.2335 -3.0605 -4.8192 -0.240
C 1.9497 -2.8521 -5.9898 0.276
C 1.6159 -3.5436 -7.1308 -0.272
C 0.5706 -4.4469 -7.1249 -0.266
C -0.1067 -4.7126 -5.9417 0.271
O -1.0834 -5.6604 -5.8186 -0.669
O 2.9655 -1.9306 -5.9556 -0.685
H -0.2351 -4.3208 -3.8725 0.226
H 1.5310 -2.5098 -3.9396 0.216
H 2.1387 -3.3194 -8.0545 0.211
H 0.3079 -4.9676 -8.0397 0.210
H -1.2946 -6.0462 -6.6740 0.479
H 3.5655 -2.0504 -6.6973 0.482
C 1.0234 -1.5446 6.1980 -0.246
C 2.3261 -1.1665 6.4930 -0.237
C 2.9848 -0.2160 5.7307 0.262
C 2.3279 0.3713 4.6591 -0.261
C 1.0069 0.0183 4.3699 -0.283
C 0.3490 -0.8755 5.1972 0.284
O -0.9828 -1.1457 5.0493 -0.678
O 4.2443 0.1549 6.1250 -0.675
H 0.5193 -2.3272 6.7453 0.229
H 2.8885 -1.6247 7.2977 0.225
H 2.8084 1.0583 3.9697 0.203
H 0.5194 0.5594 3.5720 0.212
H -1.3530 -0.7703 4.2435 0.485
H 4.6347 0.7907 5.5174 0.479
```

The energy relative to the best compared isomer or geometry (same formula, charge and spin) comes out at 0.0 kJ/mol. The largest force on an atom is 0.025 Eh/bohr. The LUMO energy comes out at -0.3417 eV. Its net charge is 0. The orbital gap comes out at 0.2819 Ha. The calculation puts the electronic energy at -664783.1171 eV.

[2]
The following is a DFT calculation (ωB97M-V/def2-TZVPD) of a cluster of 2 separate species, C11H14N2 in total.

Structure (XYZ):
```
27
Properties=species:S:1:pos:R:3:nbo_charge:R:1
C -0.6578 3.4874 -0.2527 -0.643
C -1.1975 2.6042 0.8315 0.101
C -2.3379 1.8490 0.7889 -0.122
N -2.2165 0.9440 1.8128 -0.524
C -1.0035 1.1401 2.3842 0.161
N -0.3589 2.1184 1.8090 -0.469
H -1.0228 4.5119 -0.2003 0.219
H -0.8313 3.0189 -1.2155 0.221
H 0.4282 3.5702 -0.1827 0.230
H -3.0521 1.7972 -0.0128 0.219
H -2.9712 0.4323 2.2377 0.416
H -0.5640 0.5324 3.1592 0.202
C -0.1938 -3.5617 -0.7595 -0.634
C 0.6832 -2.3512 -0.7544 -0.016
C 1.7785 -2.2092 -1.5899 -0.218
C 2.5286 -1.0265 -1.5790 -0.207
C 2.1727 0.0354 -0.7762 -0.226
____________

SB 1090 flies in the face of the thoughtful planning and policy work that has been gaining momentum in recent months. We must prepare our communities for sea level rise and offset threats to our coastal resources. SB 1090 would lock us into the one method we know is sure to fail and result in the accelerated loss of our beaches. Send a message to the California Senate Natural Resources and Water Committee and tell them to oppose this bill today!

Making California’s Coast Resilient to Sea Level Rise: Principles for Aligned State Action

In early 2020, state agencies including the California Natural Resources Agency, CalEPA and the Coastal Commission convened to develop a new vision document for addressing sea level rise, “Making California’s Coast Resilient to Sea Level Rise: Principles for Aligned State Action.” This effort recognizes that California’s coast, bays, estuaries, and ocean are critical to the state’s environmental and economic security, integral to our quality of life, and an iconic part of the state’s legacy, but face ongoing and increasing threats from climate change and sea level rise. The goal of the principles is to improve effectiveness in addressing this immediate challenge and is a step in the right direction towards proactive sea level rise planning and adaptation.

Check out ActCoastal partner testimony on the ActCoastal YouTube page!